By: Paul Bubbosh, CESP Faculty Associate
In Richard Andrews’ seminal work on the history of U.S. environmental policy, he states that “no sector of human activity impacts the environment more pervasively than the production and use of energy.”1 I would venture a step further. I believe no other sector of human activity impacts humans and society— not just the environment—more pervasively than the topic of energy. The subject of energy is seldom examined as the dependent variable and in a comprehensive, multidisciplinary academic curriculum. When considering our past and current predicament, and projections for the future, the academic pursuit of an energy curriculum must be at the forefront of instruction, research, and writing. Yet few academic institutions provide an educational curriculum specific to energy. Rather, energy studies are typically subsumed under other curriculums, such as environmental science and policy. This is a misplaced opportunity.
By way of example, consider the U.N Sustainability Development Goals (SDGs). Adopted by all member states in 2015, the SDGs are billed as a “shared blueprint for peace and prosperity for people and the planet, now and into the future.”2 It identifies 17 goals, of which energy is linked directly or indirectly to at least 10 goals. You would be hard pressed to find another topic that intersects and impacts our lives more than energy. It simply touches on almost every facet of our lives.
“Energy is a common thread weaving through the fabric of critical American interests and global challenges. U.S. strategic energy policy must take into account the three central concerns…—economic security, environmental protection, and poverty alleviation—and set aggressive goals for overcoming them.” Wirth, Timothy; Gray, C. B., and Podesta, J. D. “The Future of Energy Policy.” Foreign Affairs, vol. 82, issue 4, July/August 2003. [bold mine] |
When U.S. government officials engage with other countries, the subject of energy is always an agenda item. Topics include the need for greater access to affordable energy, or the need to find export markets for national resources. Energy impacts every country’s national economy, whether as exporter or importer, and in turn affects almost every facet of our lives: employment, national and human security, health and environment, food and water, agriculture, infrastructure, technology research and development, and climate change. Climate change, by far, is at the zeitgeist of academic attention, but no pathway towards a safer planet exists without addressing the single greatest impact on our climate—the burning or combustion of coal, natural gas, and oil for electricity, heat combustion, and transportation.
But the dynamics of energy also work against itself as an academic pursuit because it is so vast. Consider the various sources of energy: fossil fuels (coal, oil, and natural gas), nuclear power, renewables (hydropower, wind, solar, geothermal), and alternative fuels. These are not simply four categories of energy sources. Each energy source represents multiple sub-components (e.g., conventional and unconventional oil and gas; rooftop solar and utility-scale solar). Each expands or contracts economically as energy costs and markets change based on new discoveries and technologies. We are in an energy transformation now, shifting from once dominant fossil fuels to renewables, energy efficiencies, and alternative sources. Today’s “energy revolution” has the potential to re-shape our economy, businesses, environment, health, and security—our lives. This is no small endeavor to digest as an academic curriculum. Indeed, it is big. Perhaps it is precisely because of the vastness of energy that helps explain that, while we have a federal Department of Energy, our national energy policy is not developed there alone. In other words, the academy is not alone in treating energy as a disaggregated, highly fragmented area of public policy.
Energy is best understood in a continuum from creation to disposal. First, energy begins with its source development (e.g., mining coal, exploring for oil and gas, fission of atoms, capturing water, sun, and wind). Second, energy sources are processed (e.g., refining oil, pulverizing coal). Third, the commodity is transported (e.g., pipelines, electrical lines, waterways). Fourth, the resource is combusted or used (e.g., power plants, solar and wind farms). And finally, energy’s detritus is disposed of (e.g., coal ash, radioactive waste). Along this spectrum, energy impacts the environment and human health (e.g., climate change, air and water pollution, water consumption, occupational hazards, radiation leaks, species endangerment, social justice, and land use changes). Consequently, energy is greater than the study of any one academic discipline, such as policy or engineering, but is more appropriately viewed through a societal lens, hence the need for an academic discipline on “Energy and Society.”
The academic potential in an Energy and Society curriculum is multi-disciplinary, multi-faceted, and fecund with academic potential. Energy touches upon public policy, public administration, national and international security, domestic and international regulations/laws/agreements, national and international politics, international commerce/development/finance, infrastructure, economics, technology research/development/deployment, environmental science and policy, transportation, and societal and cultural impacts.
This brings us back to the lack of an academic curriculum focused on energy. Why has GMU and other universities not adopted a curriculum as dynamic, impactful, and vital as Energy and Society? The answers can vary, but I will identify a few here and offer recommendations to address each
- Understanding the Role of Energy: First, and foremost, we need to re-calibrate what we mean by “energy.” Historically, we have viewed energy policy in terms of powering and protecting our economy and livelihood. Energy is necessary to manufacture things and “keep the lights on.” In this view, energy recedes into the background. But there is an explicit cost to energy, which is measured in human health and environmental consequences, national and international security costs, infrastructure costs, civil strife, economic poverty, social injustices, and migration patterns. Another side to energy is the psychological and cultural vulnerability every country faces during times of high energy prices or disruptions to energy supplies. 3 Since energy is a global commodity, a disruption in one part of the world will affect prices, economics, and wellbeing in almost every corner of the world (e.g., 1973 Arab oil embargo; 1979 Iranian oil crisis). The impact on prices impacts global well-being: economics, health, security, environment, infrastructure, technology, etc.
- Recommendation: We must modify our mindset about energy to focus on the impacts to human lives and society. Only when we consider energy’s pervasive influence can we begin to appreciate its value as an academic curriculum.
- Faculty Expertise: The study of energy encompasses several disciplines, but typically energy is housed in the environmental science and policy space where only a few energy courses are offered (e.g., energy policy). Consequently, schools lack “champions” to ensure sustainability of an energy curriculum.
- Recommendation: We must hire faculty with expertise to teach, research, and write on the energy topics that touch upon human lives and society.
- Faculty Leadership: Academic disciplines are built and sustained by its current occupants, and the current occupants guard their spaces carefully. Academics compete for student’s attention and matriculation. Therefore, new entries into an academic field require leadership to make room for this vital subject.
- Recommendation: Faculty leaders must recognize the importance of Energy and Society as an academic curriculum by building space within universities to house this important subject.
- Student Interest: One might question student interest in an energy curriculum. The familiar refrain goes something like this: if students expressed an interest, then universities would build programs to support this interest. This raises the paradox of the “chicken or the egg.” However, this is a false premise. There is ample evidence of employer’s desire to hire for energy expertise. According to the 2020 U.S. Energy and Employment report,4 the traditional energy and energy efficiency sectors employed 6.8 million people at the end of 2019 (or almost 5 percent of the U.S. workforce). By the end of 2019, over 120,300 new energy jobs in total were added, which outperformed the rest of the economy in job creation. In fact, employment in the energy sector grew 12 percent from 2015 to 2019, doubling the general economy’s 6 percent growth rate. A recent report finds that the “green” sector is experiencing a shortage of workers with the skills needed to support their ambitious growth plans.5 Therefore, students are interested because they are applying and securing these jobs.
- Student Growth: U.S. academic institutions face an economic need to attract more students. According to a GMU graduate school report, the school’s future fiscal growth will depend on securing students in three areas: out-of-state, full-time, and international.6 A curriculum on energy has potential to attract students in all three areas. First, no other U.S. graduate school program offers an advanced graduate degree specific to Energy and Society. As a unique concentration, GMU has an opportunity to market and attract out-of-state students. Second, students are attracted to the energy field because of its growth potential. This will likely attract students interested in completing their degrees on a full-time basis or “shifting” and completing their degrees in a timely fashion. Finally, the energy sector is inherently an international marketplace where goods (like oil and gas) are traded globally; technologies (like solar and wind) are developed or assembled in foreign markets; and services (like exploration and installations) drive job growth. These factors apply internationally and will likely draw foreign students to this program.
The subject of energy is broad, complex, and all-encompassing. It touches our lives in so many ways that the pursuit of an academic curriculum can be intimidating. It will be a challenge to create, develop, and sustain an Energy and Society curriculum. However, no other organization in our country has the responsibility and ability to address such challenging and intimidating subjects more so than the U.S. university system.
Paul Bubbosh is the Co-Director of the Local Climate Action Planning Initiative in GMU’s Schar School Center for Energy Science and Policy (CESP)
1. Andrews, Richard N.L. Managing the Environment, Managing Ourselves: A History of American Environmental Policy. Yale University Press, 2020.
### These materials data were left in the piece by mistake
/*
Record 1
KNa2CuGe | GGA-PBE | optimized geometry

Output
Spin magnetization   0.00 μB/cell
Energy of formation from the pure elements   0.044 eV per atom

a b c (Å): 5.604 5.604 4.593
angles (deg): 90.00 90.00 90.00
Space group P4/mmm (No. 123)
Symmetry-distinct sites (fractional):
1 K 0.000 0.000 0.000 [1 per cell]
2 Na 0.000 0.500 0.500 [2 per cell]
3 Cu 0.500 0.500 0.500 [1 per cell]
4 Ge 0.500 0.500 0.000 [1 per cell]

***

Record 2
KNa2CuGe | GGA-PBE | optimized geometry

Output
Spin magnetization   0.00 μB/cell
Energy of formation from the pure elements   0.051 eV per atom

a b c (Å): 5.729 5.729 4.657
angles (deg): 90.00 90.00 90.00
Space group P4/mmm (No. 123)
Symmetry-distinct sites (fractional):
1 K 0.000 0.000 0.000 [1 per cell]
2 Na 0.000 0.500 0.500 [2 per cell]
3 Cu 0.500 0.500 0.000 [1 per cell]
4 Ge 0.500 0.500 0.500 [1 per cell]

***

Record 3
KCuGe2O6 | GGA-PBE | optimized geometry

Output
Spin magnetization   0.00 μB/cell
Formation energy without anion corrections   -1.26 eV per atom

a b c (Å): 10.821 10.193 5.776
angles (deg): 90.00 108.92 90.00
Space group C2/c (No. 15)
Symmetry-distinct sites (fractional):
1 K 0.000 0.092 0.250 [4 per cell]
2 Cu 0.000 0.269 0.750 [4 per cell]
3 Ge 0.207 0.410 0.130 [8 per cell]
4 O 0.087 0.287 0.077 [8 per cell]
5 O 0.132 0.134 0.711 [8 per cell]
6 O 0.171 0.460 0.812 [8 per cell]

***

Record 4
K2Cu2GeO6 | GGA-PBE | optimized geometry

Output
Spin magnetization   0.00 μB/cell
Formation energy without anion corrections   -1.01 eV per atom

a b c (Å): 5.6491 5.6491 17.4240
angles (deg): 90.00 90.00 120.00
Space group R-3m (No. 166, hexagonal axes)
Symmetry-distinct sites (fractional):
1 K 0.0000 0.0000 0.2093 [6 per cell]
2 Cu 0.0000 0.0000 0.3970 [6 per cell]
3 Ge 0.0000 0.0000 0.0000 [3 per cell]
4 O 0.0330 0.5165 0.7370 [18 per cell]

***

Record 5
K2CuGeO4 | GGA-PBE | optimized geometry

Output
Spin magnetization   8.06 μB/cell
Formation energy without anion corrections   -1.31 eV per atom

a b c (Å): 5.273 11.925 19.083
angles (deg): 90.00 90.00 90.00
Space group Fddd (No. 70, origin choice 2)
Symmetry-distinct sites (fractional):
1 K 0.125 0.125 0.306 [16 per cell]
2 Cu 0.125 0.125 0.625 [8 per cell]
3 Ge 0.125 0.125 0.125 [8 per cell]
4 O 0.094 0.285 0.419 [32 per cell]

***

Record 6
KCuGePd2 | GGA-PBE | optimized geometry

Output
Spin magnetization   0.00 μB/cell
Energy of formation from the pure elements   0.294 eV per atom

a b c (Å): 4.969 4.969 4.456
angles (deg): 90.00 90.00 90.00
Space group P4/mmm (No. 123)
Symmetry-distinct sites (fractional):
1 K 0.000 0.000 0.000 [1 per cell]
2 Cu 0.500 0.500 0.500 [1 per cell]
3 Ge 0.500 0.500 0.000 [1 per cell]
4 Pd 0.000 0.500 0.500 [2 per cell]

***

Record 7
KCu2GePd | GGA-PBE | optimized geometry

Output
Spin magnetization   0.00 μB/cell
Energy of formation from the pure elements   0.153 eV per atom

a b c (Å): 4.701 4.701 4.887
angles (deg): 90.00 90.00 90.00
Space group P4/mmm (No. 123)
Symmetry-distinct sites (fractional):
*/
2. “Sustainable Development Goals,” United Nations Department of Economic and Social Affairs, 2015, MDG 1: energy poverty is equal access to energy resources; MDG 2: food security and sustainable agriculture relies on energy systems; MDG 5: gender equality is linked with equal access to safe and healthy energy resources; MDG 6: sustainable water management implicates energy and water nexus; MDG 7: access to affordable, reliable, sustainable energy; MDG 8: sustainable economic growth is linked with robust energy systems; MDG 9: resilient infrastructure is linked with safe and resilient energy systems; MDG 10: reduce inequality among nations is linked with access to affordable energy; MDG 12: sustainable consumption; MDG 13: climate change.
3. The massive wildfires in California (partially fueled by mismanaged transmission lines) and sustained electricity blackouts in Texas created widespread disruption and are harbingers of how energy issues will continue to plague the U.S., as well as nations around the world.
4. Jordan, P., Fazeli, S., Pablo, J., and Ellis, D. “Wages, Benefits, and Change: A Supplemental Report to the Annual U.S. Energy and Employment Report.” National Association of State Energy Officials, Energy Futures Initiative, BW Research Partnership, 2021,
5. Lombrano, L.M., Mathis, W., Lima, J. “Renewable Energy Boom Unleashes a War Over Talent for Green Jobs.” Bloomberg Green, 8 June 2021, (accessible here).
6. Gest, J., Cheon, H. “Schar 2030 Masters Program Report.” George Mason University, Schar School of Policy and Government. Received by Paul Bubbosh, 7 Aug 2020.